Hello, my name is Ms. Jessica Mcconnell. On January 10th of 2014 my son Tyler at the age of 6 our Family and his life changed immediately forever!
(Misplaced crystal structures)
+++
[1]
Computed XRD peak list
Compound: Li6DyZn6
Radiation: a wavelength of 1.5418 Å
Structure: a cell relaxed with GGA-PBE
Intensities are scaled so that the largest is 100.

Structural model:
a b c (Å): 6.9632 6.9632 6.9632
angles (deg): 136.73 98.16 97.47
Element x y z (fractional)
1 Li 0.1435 0.5000 0.6435
2 Li 0.1544 0.1544 0.0000
3 Li 0.2919 0.0000 0.2919
4 Li 0.7081 0.0000 0.7081
5 Li 0.8456 0.8456 0.0000
6 Li 0.8565 0.5000 0.3565
7 Dy 0.5000 0.5000 0.0000
8 Zn 0.0000 0.0000 0.5000
9 Zn 0.0000 0.5000 0.0000
10 Zn 0.2899 0.7899 0.5000
11 Zn 0.5000 0.0000 0.0000
12 Zn 0.5000 0.5000 0.5000
13 Zn 0.7101 0.2101 0.5000

Top 10 peaks for 2θ = 15–90°, most intense first:
| Position (°2θ) | d_spacing | I_rel |
| --- | --- | --- |
| 27.85 | 3.204 | 100 |
| 40.29 | 2.238 | 95 |
| 39.54 | 2.279 | 71 |
| 27.56 | 3.236 | 53 |
| 39.65 | 2.273 | 38 |
| 19.33 | 4.593 | 38 |
| 57.51 | 1.602 | 36 |
| 39.23 | 2.296 | 32 |
| 34.09 | 2.630 | 23 |
| 45.07 | 2.011 | 21 |

---

[2]
Computed XRD peak list
Compound: KY2Pb
Radiation: a wavelength of 1.5418 Å
Structure: a cell relaxed with GGA-PBE
Intensities are scaled so that the largest is 100.

Structural model:
a b c (Å): 3.6940 3.6940 10.6150
angles (deg): 90.00 90.00 90.00
Element x y z (fractional)
1 K 0.0000 0.0000 0.0000
2 Y 0.0000 0.0000 0.4411
3 Y 0.5000 0.5000 0.6650
4 Pb 0.5000 0.5000 0.2475

Top 10 peaks for 2θ = 15–90°, most intense first:
| Position (°2θ) | d_spacing | I_rel |
| --- | --- | --- |
| 29.46 | 3.032 | 100 |
| 34.33 | 2.612 | 41 |
| 35.12 | 2.555 | 38 |
| 58.52 | 1.577 | 28 |
| 55.80 | 1.647 | 16 |
| 62.00 | 1.497 | 15 |
| 49.34 | 1.847 | 14 |
| 24.09 | 3.694 | 14 |
| 35.39 | 2.536 | 14 |
| 48.93 | 1.862 | 12 |

---

[3]
Computed XRD peak list
Compound: Ca2LaSe3
Radiation: a wavelength of 1.5418 Å
Structure: a cell relaxed with GGA-PBE
Intensities are scaled so that the largest is 100.

Structural model:
a b c (Å): 7.3672 7.3672 7.3672
angles (deg): 146.62 131.72 59.96
Element x y z (fractional)
1 Ca 0.1668 0.1668 0.0000
2 Ca 0.8332 0.8332 0.0000
3 La 0.5000 0.5000 0.0000
4 Se 0.0000 0.5000 0.5000
5 Se 0.3284 0.8284 0.5000
6 Se 0.6716 0.1716 0.5000

Top 10 peaks for 2θ = 15–90°, most intense first:
| Position (°2θ) | d_spacing | I_rel |
| --- | --- | --- |
| 29.78 | 3.000 | 100 |
| 42.52 | 2.126 | 92 |
| 29.65 | 3.013 | 51 |
| 69.90 | 1.346 | 24 |
| 52.88 | 1.731 | 19 |
| 52.67 | 1.738 | 19 |
| 42.74 | 2.116 | 18 |
| 77.80 | 1.228 | 18 |
| 70.07 | 1.343 | 17 |
| 16.27 | 5.449 | 16 |

----------

Structure and simulated powder diffractogram of TbPrTmCu (a crystal structure in Alexandria, relaxed with GGA-PBE; Cu Kα, 1.54184 Å).

Structural model:
```
data_TbPrTmCu
_chemical_formula_sum 'Tb1 Pr1 Tm1 Cu1'
_space_group_name_H-M_alt 'P 4 m m'
_space_group_IT_number 99
_space_group_name_Hall 'P 4 -2'
_cell_length_a 3.521
_cell_length_b 3.521
_cell_length_c 8.718
_cell_angle_alpha 90.00
_cell_angle_beta 90.00
_cell_angle_gamma 90.00
loop_
_atom_site_label
_atom_site_fract_x
_atom_site_fract_y
+++
(So much for the crystal structures)
Tyler pulled over a heavy oak bookcase on himself. Since I was cooking I wasn’t in the same room he was, so we figure he was trying to put a new DVD in the DVD player. I heard the crash and immediately sent my husband to check on our kids. What I heard next was to call 911 and that blood was coming from Tyler’s ear.
(Inserted here: crystal structures)
This entry pairs a crystal structure of Mn2NbNi3P6O24 with its theoretical X-ray powder pattern. Radiation: Cu Kα (weighted mean of Kα1 and Kα2). Structure: a crystal structure in the Materials Project, relaxed with GGA+U.
Peak positions follow from Bragg's law for the DFT cell and can differ from measured ones.

Principal peaks in the range 2θ = 10–80°, sorted by position:
d_spacing, I_rel
4.355, 100
4.331, 23
3.706, 91
3.071, 16
2.741, 74
2.514, 52
1.939, 31
1.853, 29
1.646, 31
1.492, 21

Crystal structure
```
Mn2NbNi3P6O24
1.0
4.355 2.515 7.053
-4.355 2.515 7.053
0.000 -5.029 7.053
Mn Nb Ni P O
2 1 3 6 24
Direct
0.000 0.000 0.000
0.495 0.495 0.495
0.644 0.644 0.644
0.143 0.143 0.143
0.355 0.355 0.355
0.857 0.857 0.857
0.050 0.453 0.753
0.245 0.961 0.546
0.453 0.753 0.050
0.546 0.245 0.961
0.753 0.050 0.453
0.961 0.546 0.245
0.011 0.608 0.817
0.052 0.260 0.909
0.089 0.942 0.743
0.112 0.510 0.311
0.187 0.991 0.392
0.240 0.438 0.590
0.260 0.909 0.052
0.311 0.112 0.510
0.392 0.187 0.991
0.410 0.761 0.568
As soon as my husband brought our son upstairs I saw our boy was unconscious. Fast forward to the hospital and we were told our son had sustained a TBI and a trauma induced stroke. The doctor in the ER that night told us Tyler’s best bet at recovery was to be put in a coma and let him sleep. You see the nerve that was bleeding had stopped which was good but they couldn’t do surgery because it would cause more damage.
Tyler was in a medically induced coma for a week and a half. Midweek of the 2nd week the doctors began lowering all the medications that kept him asleep and end of week 2 he came of the ventilator. Week 3 began some therapy for Tyler. OT, PT, and Speech would all come in and work with him. At the age of 6 my little boy was like a newborn baby. He couldn’t eat, talk, walk, or even hold his head up. At the end of week 3 he was moved to a Children’s Hospital in KC, MO and there he spent 5 weeks doing intensive therapy.
From 8-12 and 1-3 Monday-Friday and 8-12 on Saturday he was going through a lot of therapies and seeing a lot of specialists. They honestly didn’t know if he would ever walk or talk again but they didn’t give up hope. I’m thankful to say that they didn’t give up on him because he did learn to do everything all over again.
Fast forward to today 8/30/17 we are almost 4 yrs. into this journey. It hasn’t been the greatest journey but it also hasn’t been the worst.
Tyler did have a stroke so the right side of his body is a little weaker. He attends therapy to work on hand movement in hopes he will get some back. He just completed constraint therapy this summer, which helped some. We took him fishing the other day and he used his right hand to reel in the line. Tyler gets BOTOX injections in his arm and leg every 3 months. The most damage happened to the part of his brain that deals with short-term memory so even on medications he struggles. Tyler wears a hearing aid in his left ear due to the force of the blow to the head from the book case it knocked his middle ear bone loose. Surgery was done to try and repair it but it didn't help. He also has acquired OCD and ADD due to the TBI and is on medications for that.
Tyler had surgery last March on both legs: the right hip they rotated it so it lined up to where it should be and inserted a rod. His left leg is growing faster than the right so they added a plate to the left leg so it will stop growing. In about 2yrs or whenever his right leg catches up he will get the rod and the plates taken out. We are also in the midst of talking about a surgery on his hand to help his fingers relax more but this isn’t something we are going to do until he is ready.
Of course, since he has a TBI he tires very easily. The beginning of this summer we finally got to talk to a doctor about possible seizures and they confirmed that.
[Calculated crystals from another source follow]
~~~
Theoretical XRD peak list of TlCdSeO for Cu Kα, 1.54184 Å, from a PBE-relaxed structure.

Main lines, sorted by position (2θ = 15–90°):
26.59°, d = 3.353 Å, I 28; 27.27°, d = 3.270 Å, I 66; 31.40°, d = 2.849 Å, I 100; 34.20°, d = 2.622 Å, I 19; 44.56°, d = 2.034 Å, I 31; 45.44°, d = 1.996 Å, I 49; 52.64°, d = 1.739 Å, I 18; 53.42°, d = 1.715 Å, I 25; 56.27°, d = 1.635 Å, I 19; 75.11°, d = 1.265 Å, I 17

Crystal structure
Unit cell a=13.607 b=13.607 c=13.607 alpha=16.87 beta=16.87 gamma=16.87
Fractional positions:
Tl 0.000 0.000 0.000
Tl 0.500 0.500 0.500
Cd 0.244 0.244 0.244
Cd 0.756 0.756 0.756
Se 0.390 0.390 0.390
Se 0.610 0.610 0.610
O 0.190 0.190 0.190
O 0.810 0.810 0.810


Theoretical XRD peak list of Ac2Cu6NiRh for Cu Kα, 1.54184 Å, from a PBE-relaxed structure.

Main lines, sorted by position (2θ = 15–90°):
27.54°, d = 3.239 Å, I 100; 32.69°, d = 2.740 Å, I 30; 32.79°, d = 2.731 Å, I 59; 33.35°, d = 2.687 Å, I 76; 35.19°, d = 2.551 Å, I 17; 42.96°, d = 2.105 Å, I 15; 43.13°, d = 2.097 Å, I 27; 45.32°, d = 2.001 Å, I 30; 48.65°, d = 1.872 Å, I 16; 52.54°, d = 1.742 Å, I 18

Crystal structure
Unit cell a=6.314 b=6.319 c=6.343 alpha=61.67 beta=61.54 gamma=61.59
Fractional positions:
Ac 0.188 0.190 0.189
Ac 0.812 0.810 0.811
Cu 0.175 0.614 0.325
Cu 0.325 0.175 0.613
Cu 0.386 0.674 0.825
Cu 0.614 0.326 0.175
Cu 0.675 0.825 0.387
Cu 0.825 0.386 0.675
Ni 0.500 0.500 0.500
Rh 0.000 0.000 0.000


Theoretical XRD peak list of Ac3InAg for Cu Kα, 1.54184 Å, from a PBE-relaxed structure.

Main lines, sorted by position (2θ = 15–90°):
24.12°, d = 3.690 Å, I 50; 25.06°, d = 3.554 Å, I 36; 26.82°, d = 3.324 Å, I 35; 27.23°, d = 3.275 Å, I 37; 30.00°, d = 2.978 Å, I 85; 30.80°, d = 2.903 Å, I 100; 31.19°, d = 2.867 Å, I 43; 31.56°, d = 2.835 Å, I 72; 32.28°, d = 2.773 Å, I 81; 44.11°, d = 2.053 Å, I 45

Crystal structure
Unit cell a=11.129 b=11.129 c=7.107 alpha=90.00 beta=90.00 gamma=115.28
Fractional positions:
Ac 0.067 0.433 0.750
Ac 0.121 0.879 0.787
Ac 0.218 0.218 0.500
Ac 0.282 0.282 0.000
Ac 0.379 0.621 0.287
Ac 0.433 0.067 0.250
Ac 0.567 0.933 0.750
Ac 0.621 0.379 0.713
Ac 0.718 0.718 0.000
Ac 0.782 0.782 0.500
Ac 0.879 0.121 0.213
Ac 0.933 0.567 0.250
In 0.075 0.925 0.258
In 0.425 0.575 0.758
In 0.575 0.425 0.242
In 0.925 0.075 0.742
Ag 0.100 0.400 0.250
Ag 0.400 0.100 0.750
Ag 0.600 0.900 0.250
Ag 0.900 0.600 0.750


Theoretical XRD peak list of MgSb2Pt for Cu Kα, 1.54184 Å, from a PBE-relaxed structure.

Main lines, sorted by position (2θ = 15–90°):
19.26°, d = 4.609 Å, I 100; 28.43°, d = 3.140 Å, I 66; 34.04°, d = 2.634 Å, I 34; 39.55°, d = 2.278 Å, I 70; 43.32°, d = 2.089 Å, I 17; 43.78°, d = 2.068 Å, I 14; 44.92°, d = 2.018 Å, I 38; 47.81°, d = 1.903 Å, I 19; 56.20°, d = 1.637 Å, I 16; 76.93°, d = 1.239 Å, I 10

Crystal structure
Unit cell a=5.268 b=4.178 c=5.433 alpha=90.00 beta=118.82 gamma=90.00
Fractional positions:
Mg 0.000 0.000 0.000
Sb 0.325 0.500 0.651
Sb 0.675 0.500 0.349
Pt 0.500 0.000 0.000

* * * * *

Record 1
~~~
Do not tell Tyler what he can and can’t do because he is a very motivated kid and more than likely will prove you wrong. He is funny, kind and smart. He loves to swim, go fishing and ride his special bike.
Thank you TBI One Love, for letting us join this helpful Family!